Crew focus in Mallorca

From scientist to yacht deck/stew and yoga enthusiast in Mallorca

I have my STCW, powerboat level 2, Security Awareness, Crowd Management

[Misplaced data records]
'''
A cluster of 2 separate species, C2H10NO in total in a non-equilibrium geometry. Source: the Open Molecules 2025 dataset; level of theory: ωB97M-V with the def2-TZVPD basis set.

Lowest unoccupied orbital energy ... -3.288 eV
Strongest force on any atom ... 0.0300 Eh/bohr
Gap between HOMO and LUMO ... 12.41 eV
Energy ... -211.9385 Ha
Total charge ... +1

Last column: Mulliken charge in e.
Atoms and positions in Å:
C 0.41923 -0.38609 1.44745  -0.959
N -0.14203 -0.44687 0.07995  -0.042
C -1.57920 -0.84393 -0.09149  -0.777
H 1.50946 -0.34009 1.44627  0.343
H -0.00130 0.43983 2.01499  0.379
H 0.22329 -1.31095 1.98371  0.418
H 0.42119 -1.16128 -0.37405  0.378
H 0.06205 0.39790 -0.46134  0.266
H -2.04314 -0.71845 0.88353  0.305
H -1.68428 -1.88214 -0.40876  0.335
H -2.06314 -0.29171 -0.89097  0.356
H 1.89605 1.84414 -2.52074  0.326
H 1.57394 2.80650 -1.44812  0.324
O 1.40787 1.89316 -1.66043  -0.654

----------

# 1
Density functional theory data (ωB97M-V/def2-TZVPD) for a molecular structure, C36H41N10O5STl at a distorted geometry.

Computed properties:
* LUMO energy: 0.1428 hartree
* net charge: -2
* molecular weight: 930.24 g/mol

Positions of all 94 atoms, in Å:
Tl -1.6712 1.2402 0.9268
S -4.2321 1.5527 -2.1057
O -1.4269 1.0085 3.2340
O -1.1004 3.5070 1.9154
O -0.1960 5.5006 4.0736
O 0.3598 4.0770 6.4344
O -0.5407 1.2570 6.0260
N 3.2492 1.7960 1.8213
N 1.7811 0.2069 1.0249
N 2.5937 -0.9302 -3.0319
N 1.8175 1.3019 -2.9295
N -2.8852 3.2014 -3.8344
N -2.1599 1.2027 -3.9278
N 0.8851 -0.1659 -1.4786
N -1.8934 3.2238 -4.7791
N 3.8166 -0.3882 2.1269
N -1.9538 -0.1949 -3.8453
C -0.2065 -2.9686 0.7171
C 4.2763 -0.3452 3.5224
C -0.0886 3.5536 5.4145
C -7.2688 -2.1135 1.2421
C 3.9789 -1.6673 1.4730
C -5.9303 -2.2398 0.9086
C 4.6337 2.2141 1.6923
C 2.8736 0.5024 1.5900
C -0.8558 -3.3935 -1.5891
C -3.0891 1.9658 -3.3199
C -0.8526 3.3137 3.1535
C -0.3823 4.2824 4.1442
C 2.6551 -0.9795 -4.4995
C -0.8643 -3.7749 -0.2732
C -6.8084 -2.2728 3.5733
C -1.4864 2.0065 -4.8080
C -0.3177 -2.1728 -1.9879
C 1.1263 -0.9900 1.3298
C 0.3653 -1.4067 -1.0781
C -5.0430 -2.5653 1.9160
C -4.9269 -1.8633 -1.4719
C -0.3596 1.4737 -5.5755
C 1.0317 -1.3977 2.6558
C 0.4775 -1.7884 0.2922
C -0.9979 2.0512 3.8043
C 3.0770 1.9334 -3.2007
C -0.5875 2.1368 5.2084
C 2.2911 2.8688 1.5811
C -0.2008 -3.3676 2.0779
C 1.7366 0.0252 -2.4047
C 2.8209 -2.2267 -2.3911
C -7.7083 -2.1013 2.5455
C -5.4545 -2.0434 -0.4231
C 0.3682 -2.5595 3.0226
C 0.8356 2.2720 -2.4465
C -5.4598 -2.4937 3.2400
H 3.6922 -1.2233 -4.7777
H -0.6929 0.7690 -6.3778
H -2.4464 -0.4059 -3.0109
H -1.2201 -4.7554 0.0064
H 3.9106 -2.4894 -2.4991
H 4.0504 0.6271 3.9988
H 3.7640 1.2309 -3.5549
H 5.3560 -0.4958 3.6300
H 0.1916 0.8513 -4.9060
H 2.6384 -2.2039 -1.3223
H 2.2272 -3.0617 -2.7961
H 0.2080 -2.7859 4.0613
H -7.9419 -1.9704 0.4051
H 5.2786 1.3977 2.0728
H 1.2652 2.5131 1.5230
H 1.9960 -1.7641 -4.8981
H 1.4275 -0.7249 3.4008
H 1.0696 2.5322 -1.4277
H 5.0506 -1.9620 1.5153
H 2.9843 2.6832 -3.9623
H 2.3490 3.6525 2.3620
'''
[The data records stop here]

I left my world to teach yoga in the North of Bali to orphans and Balinese mums. | Erica Lay


Each week Erica Lay, owner of EL CREW CO International Yacht Crew Agency talks to a crew member currently in Mallorca either seeking work or based here to learn a little more about our local yachting community. For more info on any of our stars featured here, you can contact Erica directly on

Today I’m speaking with Belen Martinez Garcia, from mainland Spain. She arrived in Mallorca in November ready to find her next role as Deck/Stew, hopefully with some Masseuse and Yoga Teacher duties too!

What attracted you to the island?

It's a captivating paradise that has long danced in my dreams. Mallorca combines tranquility, adventure and luxury. I can ride my bicycle, hike to the peak of a mountain and find an amazing job.

What's your background before yachting?

I was a scientist in a genetics laboratory for 13 years before deciding to give yoga and massage a try. I left my world to teach yoga in the North of Bali to orphans and Balinese mums. Then moved to India, where I was a Masseuse as well.

When/how did you join the yachting industry?

I met a boy on Tinder who talked about yachting, and mentioned that I would be a good fit. I thought that it could be the next stage in my journey, so I did my STCW courses in Malaga the following month. Although my first job did not exactly match my expectations it helped open the door to other opportunities. I just had a good but crazy season, starting out in the shipyard near Barcelona working on Sunshine, a 35m wooden schooner, sanding and painting. I then moved onto a 30m SY in the Med, then joined 60m SY Perseus 3 in Tahiti!

If you didn’t work on a yacht, what do you think you’d be doing?

I would be lost somewhere in Indonesia traveling, teaching yoga, riding a scooter, carrying a backpack.

What training have you done?

____________
The following is a quantum chemistry calculation of one molecule with the formula C2H11P3Si at a distorted geometry, from the OMol25 dataset.

```
! wB97M-V def2-TZVPD RIJCOSX def2/J DEFGRID3
* xyz 0 1
C 1.79903 0.78183 -1.26658
C 0.71110 1.06992 -0.14458
Si -0.32271 -0.39615 0.41484
P 0.08518 -2.17489 -1.10909
P -0.07914 -1.48988 2.76113
P -2.42621 0.60184 0.18804
H 1.33815 -0.01232 -1.81458
H 2.13960 1.67907 -1.80024
H 2.67468 0.30123 -0.76530
H 0.04259 1.85127 -0.48840
H 1.15892 1.52830 0.76565
H -1.21899 -2.18780 -1.65785
H 0.68328 -1.38218 -2.18096
H -1.08524 -0.63095 3.29324
H -1.09572 -2.26133 2.20793
H -2.56982 0.85826 1.53748
H -1.83472 1.86378 0.05927
*
```

Computed properties:
- Kohn-Sham gap: 9.215 eV
- Total energy: -37994.512 eV
- Max |F|: 2.582 eV/A
- LUMO energy: 0.37 eV
- SMILES: CC[Si](P)(P)P
- Energy above the lowest of the compared OMol25 structures with the same formula, charge and spin: 0.0 kJ/mol
- HOMO level: -8.85 eV

Here are the Löwdin charges for atoms 1 to 8, given in e: atom 1 (C): -0.172, atom 2 (C): -0.475, atom 3 (Si): 0.108, atom 4 (P): 0.532, atom 5 (P): 0.504, atom 6 (P): 0.544, atom 7 (H): -0.066, atom 8 (H): 0.071


The following is a quantum chemistry calculation of C2H12LiO4 as an isolated structure at a distorted geometry, from the OMol25 dataset.

```
! wB97M-V def2-TZVPD RIJCOSX def2/J DEFGRID3
* xyz 2 2
Li 1.06965 -0.61237 -0.62996
C -2.61720 1.43514 0.12298
C -1.29073 0.91926 0.60593
O -0.92616 -0.34436 0.09068
H -2.67456 1.16851 -0.93234
H -2.54560 2.50705 0.30732
H -3.39135 0.97142 0.73434
H -1.18901 0.93174 1.69109
H -0.51682 1.58130 0.21753
H -1.55000 -1.03989 0.31128
O 1.35676 -1.47940 1.36432
H 1.09165 -2.32357 1.72945
H 1.47302 -0.91363 2.12762
O 2.29869 0.98599 -0.37694
H 3.24666 0.99198 -0.24447
H 2.03407 1.89826 -0.25866
O 1.33938 -2.01345 -1.96108
H 0.85474 -2.80184 -2.20560
H 1.93681 -1.86216 -2.69349
*
```

Computed properties:
- Kohn-Sham gap (spin up / spin down): 12.609 / 5.468 eV
- Total energy: -10645.822 eV
- Max |F|: 3.518 eV/A
- LUMO energy (spin up / spin down): -7.31 / -14.45 eV
- <S²>: 0.75
- HOMO level (spin up / spin down): -19.92 / -19.91 eV

Here are the Löwdin charges for atoms 1 to 8, given in e: atom 1 (Li): 0.747, atom 2 (C): 0.055, atom 3 (C): -0.173, atom 4 (O): 0.163, atom 5 (H): 0.122, atom 6 (H): 0.138, atom 7 (H): 0.119, atom 8 (H): 0.200


The following is a quantum chemistry calculation of a 3-piece molecular cluster, C2H12N2O2 overall, from the OMol25 dataset.

```
! wB97M-V def2-TZVPD RIJCOSX def2/J DEFGRID3
* xyz 0 1
N 1.85111 -0.94929 -0.30466
C 0.92803 0.14471 -0.66429
C -0.27384 -0.40868 -1.44207
N -1.52753 -0.00229 -0.83746
H 2.63902 -0.56023 0.20457
H 2.26823 -1.30888 -1.15669
H 1.43250 0.96610 -1.16520
H 0.56428 0.56207 0.27044
H -0.21386 -0.06807 -2.47216
H -0.13218 -1.49517 -1.48984
H -2.29478 -0.52596 -1.23956
H -1.49777 -0.23923 0.15122
O 0.10360 -1.45084 1.99788
H 0.32713 -2.26444 2.46197
H 0.76784 -1.39525 1.28584
O -0.95328 2.75841 0.75785
____________

I have my STCW, powerboat level 2, Security Awareness, Crowd Management.

Any achievements or special things stick out?

I studied Molecular Biology and Biochemistry. I have an analytical brain, but I love Yoga and spirituality as well. I wanted a deeper knowledge so I trained in Kundalini, Hatha, Ashtanga, Vinyasa, Yin and Acroyoga, so I could understand how this ancient discipline can help me and help others. As a Spa Therapist I find it enriching to keep learning about health, how the body functions, how it moves and how to heal it. Then, I found out that massage can be an amazing tool (chiromassage, Thai and Ayurveda, facials). And I love to share this knowledge.

What’s the best thing about your job? And/or the most rewarding?

Traveling the world, meeting amazing individuals. Creating adventures while I learn about everything.

What do you enjoy most about your job?

Being close to the ocean, enjoying its changing mood and the life it offers. And due to the lack of space, and stress, yachting has helped me to understand myself better, and try to manage my reactions and feelings in the best way possible.

What’s the most challenging part of your job?

Finding the real human beings behind the masks. I really enjoy true connections.

What would you like to do next?

I would love to find an amazing and vibrant team, where everyone can grow while we take care of each other.

Think back to when you were completely green – what advice would you give yourself?

-- Between two parts of the page: records of molecules --
____________
Molecular formula: C42H51AsORhS2SeSi
Method: DFT, wB97M-V/def2-TZVPD

- DFT total energy: -7539.9437 a.u.
- Frontier orbital gap (alpha / beta): 0.224 / 0.224 Ha
- E_HOMO (alpha / beta): -3.9 / -3.9 eV
- Charge: -1
- Strongest force on any atom: 2.15 eV/Å

Structure (XYZ):
```
100
Properties=species:S:1:pos:R:3:forces:R:3:lowdin_charge:R:1
Rh 0.24410 -0.58474 1.03881 1.6 0.1 -0.5 0.19
S 2.59070 0.12566 0.93891 -0.5 0.2 0.4 0.67
C 3.35500 -1.42254 0.85711 0.2 -0.5 0.4 -0.68
C 4.51380 -1.60994 0.10881 -0.2 0.1 0.3 -0.14
C 5.07220 -2.86884 0.01071 0.1 -0.4 0.0 -0.12
C 4.49090 -3.94204 0.68001 0.4 0.0 -0.2 -0.12
C 3.37720 -3.75254 1.47501 -0.3 0.2 0.1 -0.13
C 2.78840 -2.49434 1.57741 0.6 0.2 -0.5 -0.72
S 1.41360 -2.20824 2.59521 -1.5 1.0 -0.2 0.60
H 4.94520 -0.75644 -0.40089 0.0 0.0 -0.1 0.10
H 5.95380 -3.02894 -0.59659 0.0 0.0 -0.1 0.09
H 4.91050 -4.93614 0.58121 0.0 0.0 0.0 0.09
H 2.93530 -4.58084 2.00921 -0.1 -0.1 0.0 0.09
O 0.53710 1.24206 -0.73489 -1.6 -0.9 1.2 -0.56
As 1.78170 1.89896 -1.53049 1.3 0.6 -1.0 1.16
C 0.77030 2.84626 -2.90119 -0.1 -0.2 0.2 -0.28
C 0.56980 2.36456 -4.18669 0.4 -0.1 0.1 -0.08
C -0.44560 2.88916 -4.97209 -0.1 0.1 -0.1 -0.09
C -1.26150 3.89516 -4.48139 0.0 0.0 0.0 -0.09
C -1.06950 4.37666 -3.19449 -0.1 0.1 0.0 -0.08
C -0.07700 3.83376 -2.40539 0.2 0.0 0.3 -0.13
C 2.97930 0.62436 -2.36589 -0.1 0.2 0.1 -0.32
C 4.22660 0.98966 -2.85439 -0.1 0.3 0.1 -0.10
C 5.07120 0.01506 -3.35879 0.2 0.0 -0.1 -0.10
C 4.67490 -1.31304 -3.37489 0.0 0.0 0.0 -0.09
C 3.43310 -1.67774 -2.87809 0.0 0.1 -0.2 -0.07
C 2.58750 -0.70574 -2.37509 -0.5 0.0 0.1 -0.12
C 2.89960 3.30296 -0.70549 -0.2 -0.2 -0.2 -0.27
C 2.81690 4.60926 -1.17549 -0.2 -0.1 -0.3 -0.11
C 3.59900 5.60806 -0.62189 0.0 0.2 0.0 -0.09
C 4.48080 5.31956 0.40651 0.0 0.1 0.0 -0.09
C 4.58800 4.01546 0.85971 0.1 0.1 0.0 -0.08
C 3.80750 3.01736 0.30501 0.1 -0.3 0.1 -0.13
H 1.19870 1.56056 -4.55759 -0.1 0.0 0.0 0.10
H -0.61850 2.50246 -5.96609 0.0 -0.1 -0.1 0.10
H -2.06850 4.28376 -5.08639 0.0 0.0 -0.1 0.10
H -1.69950 5.16276 -2.80189 -0.1 0.0 0.0 0.10
H 0.04460 4.14236 -1.37049 -0.2 0.1 -0.1 0.10
H 4.53910 2.02936 -2.82889 0.0 -0.1 0.0 0.10
H 6.05390 0.28486 -3.72409 0.0 0.0 0.0 0.10
H 5.35180 -2.06164 -3.76129 0.0 -0.1 0.0 0.10
H 3.12620 -2.71244 -2.86349 0.0 -0.1 0.0 0.11
H 1.62330 -0.97474 -1.95079 0.1 0.0 -0.1 0.03
H 2.14460 4.85216 -1.98949 0.1 0.0 0.1 0.08
H 3.51600 6.62006 -0.99279 0.0 0.1 0.0 0.10
H 5.07390 6.11126 0.84731 0.0 0.0 0.0 0.10
H 5.27840 3.76536 1.65261 0.0 0.0 0.1 0.10
H 3.89490 2.00386 0.67061 0.0 0.1 0.0 0.00
C -2.36590 1.73446 0.08231 0.8 -0.5 0.4 -0.19
Si -1.65890 0.81226 1.65041 -0.7 0.4 -0.3 0.76
C -0.87630 2.26876 2.77861 0.0 -0.6 -0.2 -0.63
C -0.37720 1.68506 4.09991 -0.1 -0.2 -0.2 -0.11
C -1.86280 3.39866 3.05621 -0.1 -0.3 -0.2 -0.10
C 0.32670 2.85226 2.04201 0.0 -0.2 -0.2 -0.13
C -3.38990 0.11866 2.37901 0.6 -0.2 0.0 -0.64
C -3.37150 -0.08504 3.88911 0.1 0.0 -0.1 -0.12
C -3.67110 -1.22564 1.70891 0.2 0.1 0.0 -0.11
____________

Be more patient, opportunities come to you at the right moment.

What’s your dream yacht to work on?

A sailing yacht that travels around the world.

What do you like to do when you’re not working?

Keep learning, backpacking, riding my bicycle, reading books, tanning.

What’s the most memorable guest request you’ve had?

One guest insisted each drink be served leaving two fingers of distance from the edge of the glass, no more and no less. Another guest asked me to record a guided meditation for him to sleep every night.

Who in the world would you love to have on board?

Captain Haddock, from Tin Tin, saying his famous catchphrase: Blue blistering barnacles! He is so funny when he is mad.

Any stories, thoughts, or anything else you’d like to share feel free!

I discovered this beautiful Japanese term called Ikigai that refers to self-goal in life. It combines passion, your mission, vocation and profession. I have a question for you, if you want a job that merges what you’re good at, what you love, and pays you for it, what comes to your mind? I found my answer.